# Data
+++
Here is a geometry-optimized BTePd2W structure from Alexandria via LeMat-Bulk. Energies are from PBE.

Cell lengths 4.119, 4.119, 4.968 Å; angles 90.00, 90.00, 90.00 degrees
Space group P4/mmm (No. 123)
Unique sites:
B1 0.000 0.000 0.000
Te1 0.000 0.000 0.500
Pd1 0.000 0.500 0.000
W1 0.500 0.500 0.500

Calculated values
The calculation puts the formation energy (no corrections) at 0.83 eV/atom. Its crystal system is tetragonal.



Here is a geometry-optimized ThBPd structure from Alexandria via LeMat-Bulk. Energies are from PBE.

Cell lengths 9.233, 3.865, 6.661 Å; angles 90.00, 102.83, 90.00 degrees
Space group C2/m (No. 12)
Unique sites:
Th1 0.109 0.000 0.288
B1 0.083 0.500 0.573
Pd1 0.135 0.500 0.921

Calculated values
Its crystal system is monoclinic. Its energy of formation is -41.36 kJ/mol of atoms.



Here is a geometry-optimized TiBPd2 structure from Alexandria via LeMat-Bulk. Energies are from PBE.

Cell lengths 5.016, 5.016, 11.064 Å; angles 90.00, 90.00, 90.00 degrees
Space group I-42d (No. 122)
Unique sites:
Ti1 0.000 0.000 0.000
B1 0.000 0.000 0.500
Pd1 0.166 0.250 0.625

Calculated values
Its crystal system is tetragonal. Its energy of formation is 21.23 kJ/mol of atoms.



| no. | total DFT energy (no corrections) (eV/cell) |
| --- | --- |
| 1 | -29.0 |
| 2 | -82.3 |
| 3 | -96.3 |

* * * * *

1.
This record from Alexandria describes an optimized crystal structure of SeN. The functional is PBE.

**Raw total energy**: -34.036 eV per cell
**Magnetization**: 0.00 μB/cell
**Raw formation energy**: 1650.4 meV per atom

a b c (Å): 5.105 5.105 5.105
angles (deg): 90.00 90.00 90.00
Element x y z (fractional)
Se: 0.000 0.000 0.000
Se: 0.000 0.500 0.500
Se: 0.500 0.000 0.500
Se: 0.500 0.500 0.000
N: 0.250 0.250 0.250
N: 0.250 0.750 0.750
N: 0.750 0.250 0.750
N: 0.750 0.750 0.250

2.
This record from Alexandria describes an optimized crystal structure of Sr2CdPb. The functional is PBE.

**Formation energy**: -0.236 eV per atom
**Raw total energy**: -26.797 eV per cell
**Magnetization**: 0.00 μB/cell
**Energy above the lowest structure with this stoichiometry**: 266 meV/atom

a b c (Å): 4.962 4.962 23.482
angles (deg): 90.00 90.00 120.00
Element x y z (fractional)
Sr: 0.000 0.000 0.000
Sr: 0.000 0.000 0.185
Sr: 0.333 0.667 0.667
Sr: 0.333 0.667 0.852
Sr: 0.667 0.333 0.333
Sr: 0.667 0.333 0.518
Cd: 0.000 0.000 0.741
Cd: 0.333 0.667 0.408
Cd: 0.667 0.333 0.074
Pb: 0.000 0.000 0.440
Pb: 0.333 0.667 0.107
Pb: 0.667 0.333 0.774

* * * * *

A plane-wave DFT calculation with PBE was carried out for Y3RhCl after structural relaxation.

Calculated values
V: 31.96 A^3/atom
total magnetization: 0.000 Bohr magnetons per cell
offset from the most stable computed form: 0 meV/atom
energy relative to the elements, uncorrected: -2.1 eV/f.u.

a b c (Å): 5.4263 5.4263 5.4263
angles (deg): 90.00 90.00 90.00
Space group Pm-3m (No. 221)
Inequivalent atoms, fractional coordinates:
1 Y 0.0000 0.0000 0.5000 (multiplicity 3)
2 Rh 0.0000 0.0000 0.0000 (multiplicity 1)
3 Cl 0.5000 0.5000 0.5000 (multiplicity 1)

---

A plane-wave DFT calculation with PBE was carried out for LiEr4Pt3 after structural relaxation.
+++
# Request
Print the whole of the data earlier on word for word.
# Reply
Here is a geometry-optimized BTePd2W structure from Alexandria via LeMat-Bulk. Energies are from PBE.

Cell lengths 4.119, 4.119, 4.968 Å; angles 90.00, 90.00, 90.00 degrees
Space group P4/mmm (No. 123)
Unique sites:
B1 0.000 0.000 0.000
Te1 0.000 0.000 0.500
Pd1 0.000 0.500 0.000
W1 0.500 0.500 0.500

Calculated values
The calculation puts the formation energy (no corrections) at 0.83 eV/atom. Its crystal system is tetragonal.



Here is a geometry-optimized ThBPd structure from Alexandria via LeMat-Bulk. Energies are from PBE.

Cell lengths 9.233, 3.865, 6.661 Å; angles 90.00, 102.83, 90.00 degrees
Space group C2/m (No. 12)
Unique sites:
Th1 0.109 0.000 0.288
B1 0.083 0.500 0.573
Pd1 0.135 0.500 0.921

Calculated values
Its crystal system is monoclinic. Its energy of formation is -41.36 kJ/mol of atoms.



Here is a geometry-optimized TiBPd2 structure from Alexandria via LeMat-Bulk. Energies are from PBE.

Cell lengths 5.016, 5.016, 11.064 Å; angles 90.00, 90.00, 90.00 degrees
Space group I-42d (No. 122)
Unique sites:
Ti1 0.000 0.000 0.000
B1 0.000 0.000 0.500
Pd1 0.166 0.250 0.625

Calculated values
Its crystal system is tetragonal. Its energy of formation is 21.23 kJ/mol of atoms.



| no. | total DFT energy (no corrections) (eV/cell) |
| --- | --- |
| 1 | -29.0 |
| 2 | -82.3 |
| 3 | -96.3 |

* * * * *

1.
This record from Alexandria describes an optimized crystal structure of SeN. The functional is PBE.

**Raw total energy**: -34.036 eV per cell
**Magnetization**: 0.00 μB/cell
**Raw formation energy**: 1650.4 meV per atom

a b c (Å): 5.105 5.105 5.105
angles (deg): 90.00 90.00 90.00
Element x y z (fractional)
Se: 0.000 0.000 0.000
Se: 0.000 0.500 0.500
Se: 0.500 0.000 0.500
Se: 0.500 0.500 0.000
N: 0.250 0.250 0.250
N: 0.250 0.750 0.750
N: 0.750 0.250 0.750
N: 0.750 0.750 0.250

2.
This record from Alexandria describes an optimized crystal structure of Sr2CdPb. The functional is PBE.

**Formation energy**: -0.236 eV per atom
**Raw total energy**: -26.797 eV per cell
**Magnetization**: 0.00 μB/cell
**Energy above the lowest structure with this stoichiometry**: 266 meV/atom

a b c (Å): 4.962 4.962 23.482
angles (deg): 90.00 90.00 120.00
Element x y z (fractional)
Sr: 0.000 0.000 0.000
Sr: 0.000 0.000 0.185
Sr: 0.333 0.667 0.667
Sr: 0.333 0.667 0.852
Sr: 0.667 0.333 0.333
Sr: 0.667 0.333 0.518
Cd: 0.000 0.000 0.741
Cd: 0.333 0.667 0.408
Cd: 0.667 0.333 0.074
Pb: 0.000 0.000 0.440
Pb: 0.333 0.667 0.107
Pb: 0.667 0.333 0.774

* * * * *

A plane-wave DFT calculation with PBE was carried out for Y3RhCl after structural relaxation.

Calculated values
V: 31.96 A^3/atom
total magnetization: 0.000 Bohr magnetons per cell
offset from the most stable computed form: 0 meV/atom
energy relative to the elements, uncorrected: -2.1 eV/f.u.

a b c (Å): 5.4263 5.4263 5.4263
angles (deg): 90.00 90.00 90.00
Space group Pm-3m (No. 221)
Inequivalent atoms, fractional coordinates:
1 Y 0.0000 0.0000 0.5000 (multiplicity 3)
2 Rh 0.0000 0.0000 0.0000 (multiplicity 1)
3 Cl 0.5000 0.5000 0.5000 (multiplicity 1)

---

A plane-wave DFT calculation with PBE was carried out for LiEr4Pt3 after structural relaxation.